Find the line below that holds "Entry 2:", then return that line and all lines after it there.

____________
DFT (PBE+U) results for a relaxed structure of Fe4OF7.

Cell: 6.3475 6.9124 6.8468 Å, 90.00 90.00 90.00°
Space group Imm2 (No. 44)
Symmetry-distinct sites (fractional):
Fe (0.0000, 0.0000, 0.0000) x2
Fe (0.0000, 0.5000, 0.4694) x2
Fe (0.2297, 0.0000, 0.4693) x4
O (0.0000, 0.0000, 0.2836) x2
F (0.0000, 0.0000, 0.6945) x2
F (0.0000, 0.5000, 0.1631) x2
F (0.0000, 0.5000, 0.7786) x2
F (0.2463, 0.2932, 0.4772) x8

Results
corrected total energy (MP2020 scheme)	-6.74	eV per atom
energy of formation	-2.392	eV per atom
E_tot	-5.67	eV per atom

~~~~~

## CdS (PBE)

Data for a relaxed structure of CdS. Values from VASP.

```
&SYSTEM
  ibrav = 0, nat = 2, ntyp = 2
/
ATOMIC_SPECIES
Cd 112.41 Cd.upf
S 32.06 S.upf
ATOMIC_POSITIONS crystal
Cd 0.000 0.000 0.000
S 0.500 0.500 0.500
CELL_PARAMETERS angstrom
0.000 2.753 2.753
2.753 0.000 2.753
2.753 2.753 0.000
```

Calculated values
Calculated formation energy ... -750 meV/atom
Space group ... No. 225

---

## CdS (PBE)

Data for a relaxed structure of CdS. Values from VASP.

```
&SYSTEM
  ibrav = 0, nat = 2, ntyp = 2
/
ATOMIC_SPECIES
Cd 112.41 Cd.upf
S 32.06 S.upf
ATOMIC_POSITIONS crystal
Cd 0.000 0.000 0.443
S 0.667 0.333 0.434
CELL_PARAMETERS angstrom
2.131 -3.690 0.000
2.131 3.690 0.000
0.000 0.000 5.804
```

Calculated values
Calculated formation energy ... -632 meV/atom
Space group ... No. 156

~~~~~

Entry 1:
The following is a DFT calculation (PBE) of Pr3InSe6 after structural relaxation.

Cell and atoms, written as POSCAR:
```
Pr3InSe6
1.0
-2.8284 3.0672 0.1429
-4.6493 -3.6685 -13.2852
-11.7622 -11.1821 7.2041
Pr In Se
12 4 24
Direct
0.5000 0.6864 0.3545
0.5000 0.3136 0.6455
0.0000 0.1864 0.1455
0.0000 0.8136 0.8545
0.0000 0.7480 0.1056
0.0000 0.2520 0.8944
0.5000 0.2480 0.3944
0.5000 0.7520 0.6056
0.0000 0.9586 0.2770
0.0000 0.0414 0.7230
0.5000 0.4586 0.2230
0.5000 0.5414 0.7770
0.0000 0.5000 0.0000
0.5000 0.0000 0.5000
0.0000 0.5000 0.5000
0.5000 0.0000 0.0000
0.0000 0.9769 0.1030
0.0000 0.0231 0.8970
0.5000 0.4769 0.3970
0.5000 0.5231 0.6030
0.0000 0.6895 0.4808
0.0000 0.3105 0.5192
0.5000 0.1895 0.0192
0.5000 0.8105 0.9808
0.5000 0.8875 0.3855
0.5000 0.1125 0.6145
0.0000 0.3875 0.1145
0.0000 0.6125 0.8855
0.0000 0.6114 0.2512
0.0000 0.3886 0.7488
0.5000 0.1114 0.2488
0.5000 0.8886 0.7512
0.0000 0.9062 0.5851
0.0000 0.0938 0.4149
0.5000 0.4062 0.9149
0.5000 0.5938 0.0851
0.0000 0.6822 0.7153
0.0000 0.3178 0.2847
0.5000 0.1822 0.7847
0.5000 0.8178 0.2153
```

Computed properties:
Formation enthalpy at 0 K, eV/atom: -1.836
Crystal system: orthorhombic

---

Entry 2:
The following is a DFT calculation (PBE) of NaCuN after structural relaxation.

Cell and atoms, written as POSCAR:
```
NaCuN
1.0
3.3534 0.0000 0.0000
-1.6767 2.8148 0.0000
0.0000 0.0000 4.2299
Na Cu N
1 1 1
Direct
0.4551 0.9103 0.0000
0.1080 0.2160 0.5000
0.7703 0.5405 0.5000
```

Computed properties:
Formation enthalpy at 0 K, eV/atom: 0.167
Magnetization, μB/cell: 0.0
Crystal system: orthorhombic

---

Entry 3:
The following is a DFT calculation (PBE) of Al2O3 after structural relaxation.

Cell and atoms, written as POSCAR:
```
Al2O3
1.0
10.5478 -0.0246 -0.1984
-0.0283 10.1414 -0.1969
-0.2028 -0.1995 10.2396
Al O
40 60
Direct
0.4646 0.1610 0.8976
0.0993 0.0156 0.5261
0.3707 0.0084 0.0960
0.1418 0.7165 0.3997
0.7531 0.8608 0.1168
0.3505 0.5094 0.1514
0.0024 0.2808 0.6952
0.3869 0.1903 0.5884
0.2213 0.2431 0.8883
0.5539 0.4463 0.5619
0.4493 0.7449 0.5446
0.1252 0.5621 0.9402
0.6513 0.9099 0.6553
0.8553 0.0547 0.6999
0.6454 0.1951 0.4470
0.7584 0.6332 0.7269
0.8595 0.4215 0.9053
0.9024 0.7760 0.5394
0.1197 0.9940 0.2216
0.3755 0.7447 0.2820
0.9451 0.1120 0.0090
0.3495 0.6210 0.7341
0.4723 0.7268 0.9867
0.0324 0.7165 0.1462
0.0614 0.8948 0.9029
0.5031 0.4223 0.9168
0.0607 0.5509 0.6672
0.5826 0.4258 0.2410
0.7310 0.6054 0.0477
0.6768 0.7114 0.3446
0.6750 0.2320 0.7336
0.2169 0.1965 0.3590
0.4099 0.9727 0.4209
0.3253 0.9365 0.8017
0.8183 0.4668 0.5003
0.8933 0.5333 0.2280
0.0919 0.3546 0.1217
0.2577 0.4592 0.4017
____________

Entry 2:
The following is a DFT calculation (PBE) of NaCuN after structural relaxation.

Cell and atoms, written as POSCAR:
```
NaCuN
1.0
3.3534 0.0000 0.0000
-1.6767 2.8148 0.0000
0.0000 0.0000 4.2299
Na Cu N
1 1 1
Direct
0.4551 0.9103 0.0000
0.1080 0.2160 0.5000
0.7703 0.5405 0.5000
```

Computed properties:
Formation enthalpy at 0 K, eV/atom: 0.167
Magnetization, μB/cell: 0.0
Crystal system: orthorhombic

---

Entry 3:
The following is a DFT calculation (PBE) of Al2O3 after structural relaxation.

Cell and atoms, written as POSCAR:
```
Al2O3
1.0
10.5478 -0.0246 -0.1984
-0.0283 10.1414 -0.1969
-0.2028 -0.1995 10.2396
Al O
40 60
Direct
0.4646 0.1610 0.8976
0.0993 0.0156 0.5261
0.3707 0.0084 0.0960
0.1418 0.7165 0.3997
0.7531 0.8608 0.1168
0.3505 0.5094 0.1514
0.0024 0.2808 0.6952
0.3869 0.1903 0.5884
0.2213 0.2431 0.8883
0.5539 0.4463 0.5619
0.4493 0.7449 0.5446
0.1252 0.5621 0.9402
0.6513 0.9099 0.6553
0.8553 0.0547 0.6999
0.6454 0.1951 0.4470
0.7584 0.6332 0.7269
0.8595 0.4215 0.9053
0.9024 0.7760 0.5394
0.1197 0.9940 0.2216
0.3755 0.7447 0.2820
0.9451 0.1120 0.0090
0.3495 0.6210 0.7341
0.4723 0.7268 0.9867
0.0324 0.7165 0.1462
0.0614 0.8948 0.9029
0.5031 0.4223 0.9168
0.0607 0.5509 0.6672
0.5826 0.4258 0.2410
0.7310 0.6054 0.0477
0.6768 0.7114 0.3446
0.6750 0.2320 0.7336
0.2169 0.1965 0.3590
0.4099 0.9727 0.4209
0.3253 0.9365 0.8017
0.8183 0.4668 0.5003
0.8933 0.5333 0.2280
0.0919 0.3546 0.1217
0.2577 0.4592 0.4017